Opportunities for Extension and Enrichment this Year
We have returned to school with a sense of enthusiasm and possibility for our expanded academic extension and enrichment program. There is something for everyone this year! You can read more about our College programs and look out on Compass for a range of experiences and competitions offered this year.
Year 7 and 8 Extension Classes – Logic and Discourse
These classes are advanced and challenging, but they are not just accelerated curriculum. Our intention is to extend high ability learners and engage students in valuable and rigorous curriculum connections to academic disciplines that otherwise wouldn’t encounter until VCE or university. We are running expanded programs this year, acknowledging that it was challenging for students to get the full experience online in 2021. Students apply via an online application form published on Compass. Students will be selected on a range of criteria including: passion for the field, academic performance and work habits. Students may wish to apply and are eligible for both.
Discourse – Applications Open Week 8 Term 2
What comes next are calculated crystals, not part of the entry:
Entry 1:
## Lu2PdO4 (PBE)

Data for Lu2PdO4 after structural relaxation.

```
14
Lattice="-5.008 3.199 2.510 0.132 -4.121 -4.960 -0.947 -4.204 3.467" Properties=species:S:1:pos:R:3 pbc="T T T"
O -4.369 -2.161 -0.888
O -3.260 -1.562 3.832
O -5.133 0.096 0.919
O -1.776 -1.014 -0.228
O -4.047 -4.112 1.245
O -1.455 -2.965 1.905
O -0.690 -5.222 0.097
O -2.563 -3.564 -2.816
Pd 0.000 0.000 0.000
Pd -2.912 -2.563 0.508
Lu -1.172 -5.040 -2.020
Lu -3.268 0.721 -0.018
Lu -1.608 -1.644 -2.432
Lu -4.651 -0.086 3.036
```

Output
DFT total energy = -7.5905 eV per atom
magnetization = 0.0 μB per formula unit

***

Entry 2:
## LuPdO3 (PBE)

Data for LuPdO3 after structural relaxation.

```
5
Lattice="-0.706 3.534 -1.650 -3.564 -1.266 -1.186 -1.584 1.272 3.403" Properties=species:S:1:pos:R:3 pbc="T T T"
Lu 0.000 0.000 0.000
Pd -2.927 1.770 0.284
O -2.574 0.003 1.109
O -1.145 2.403 0.876
O -2.135 1.134 -1.418
```

Output
DFT total energy = -6.2508 eV per atom
magnetization = 0.0 μB per formula unit

***

Entry 3:
## Lu2Pt2O7 (PBE)

Data for Lu2Pt2O7 after structural relaxation.

```
22
Lattice="3.544 2.473 5.737 -3.621 1.988 5.876 0.384 -3.973 5.971" Properties=species:S:1:pos:R:3 pbc="T T T"
O 0.154 0.244 8.792
O 0.025 2.605 10.372
O 1.738 -0.646 5.680
O 0.283 -2.117 7.213
O 1.569 1.103 3.052
O 2.052 1.492 7.082
O -1.584 0.890 3.113
O -1.745 -1.004 10.503
O 2.267 -0.733 10.425
O 0.178 -1.734 3.155
O -0.025 1.978 5.638
O -1.960 1.221 7.159
O 0.230 0.366 13.188
O -1.415 -0.859 5.741
Lu 0.000 2.292 8.005
Lu 2.002 -0.689 8.052
Lu -1.580 -0.931 8.122
Lu 0.192 0.305 10.990
Pt -1.772 1.055 5.136
Pt 0.038 0.061 2.198
Pt 1.810 1.297 5.067
Pt 0.230 -1.926 5.184
```

Output
DFT total energy = -7.1345 eV per atom

***

Entry 4:
## Rb3LuO3 (PBE)

Data for Rb3LuO3 after structural relaxation.

```
14
Lattice="-2.668 -2.413 -6.338 6.208 -3.112 2.209 -3.153 -5.863 2.795" Properties=species:S:1:pos:R:3 pbc="T T T"
O 2.857 -5.530 -0.967
O -0.027 -6.052 1.985
O -2.469 -5.859 -0.367
O 0.522 -9.936 -1.354
O -0.134 -1.453 0.020
O 0.415 -5.337 -3.319
Rb -2.465 -5.485 -3.228
Rb 0.212 -7.289 -0.816
Rb -0.343 -2.597 -4.099
Rb 2.853 -5.904 1.893
Rb 0.176 -4.100 -0.518
Rb 3.883 -2.929 -0.030
Lu -2.073 -5.958 1.665
Lu 2.461 -5.431 -3.000
```

Output
DFT total energy = -5.1482 eV per atom

=====

DFT (PBE+U) results for crystalline LiFeSi2O6 at its relaxed geometry.

abc: 5.243 9.072 18.465
angles: 90.01 90.20 90.01
Fractional positions:
1 Li 0.619 0.001 0.876
2 Li 0.118 0.500 0.876
3 Li 0.119 0.343 0.626
4 Li 0.119 0.011 0.624
5 Li 0.380 0.510 0.377
6 Li 0.381 0.843 0.375
7 Li 0.380 0.354 0.125
8 Li 0.882 0.148 0.125
9 Fe 0.613 0.642 0.875
10 Fe 0.113 0.860 0.875
11 Fe 0.615 0.132 0.626
12 Fe 0.623 0.487 0.626
13 Fe 0.877 0.988 0.375
14 Fe 0.884 0.633 0.377
15 Fe 0.378 0.019 0.124
16 Fe 0.875 0.483 0.124
17 Si 0.708 0.339 0.972
18 Si 0.208 0.162 0.973
19 Si 0.440 0.338 0.775
20 Si 0.934 0.159 0.773
21 Si 0.428 0.841 0.727
22 Si 0.928 0.665 0.726
23 Si 0.712 0.837 0.527
This class covers Politics, Philosophy and Economics where students explore classical ‘big ideas’ in democracy, political theory and culture. The class is structured around debates and critically analysing contemporary issues.
Students apply via an online application form published on Compass
What Did This Look Like Last Year?
Students applied their skills in stakeholder analysis, critical thinking and advocacy to argue for a policy reform in front of three judges, two representatives from the Victorian Government and Principal Colin Burke. Students presented on an exciting range of topics, from raising the age of criminal responsibility to banning homework to reforming the UN Security Council.
Damla, who is now in 9C, was judged the winner. She gave a compelling case to better address bullying and abuse in professional sports.

Logic – Applications Closed for 2022
This class gives students the chance to engage with applied and advanced Mathematical concepts, proofs and logic that we don’t usually get to explore in Years 7 – 10. Students will also enter the Australian Maths Competition, Mathematics Olympiads and engineering challenges.
Students in Logic accelerate their mathematics as well as apply their skills in new ways. For example, algorithms are used in coding and robotics.
Year 9 Extension Classes – Semester 2
Elements of Science, Engineering, History and Literature are accelerated in our Year 9 Elective classes in Semester 2. Students expressed interest in these subjects as part of their subject selections last year. If your child is new to the school, or has gained an interest and passion in these areas. Please get in touch with their mentor group teacher.
Debating and Public Speaking
The Debating Association of Victoria is hoping to return to in-person competitions this year. Students in Year 7 and 8 will be notified of the opportunity to debate in-person against other schools at the start of Term 2.
Student Clubs and Activities
All students are welcome to join a range of lunchtime clubs and activities at lunch time. All clubs have an enrichment component, for example learning Chess or using a laser cutter while offering students the chance to follow their own passions and socialise at the same time. Clubs are published on students’ Compass and displayed on posters around the school.
Please contact your child’s mentor group teacher if you would like more information or request your child attend.